In eastern spiritual wisdom traditions yoga is defined as the ‘yoking’ or harmonious uniting of the heart and mind with the body. When we open to ourselves with a genuine curiosity of how we relate our body and our story about our body, we may sometimes recognize that we do not treat ourselves with the kindness and compassion we deserve.
== The piece is interrupted by data records ==
/*
First-principles (PBE+U) data for NaSm2MoO6 after structural relaxation, as listed in Alexandria.

Structure (POSCAR):
```
NaSm2MoO6
1.0
-5.2146 1.9980 1.2973
-3.8381 0.9610 -4.2157
-4.6256 -3.7300 -0.6002
O Sm Mo Na
6 2 1 1
Direct
0.4141 0.6799 0.7685 O
0.1385 0.4099 0.7813 O
0.9700 0.5738 0.2423 O
0.5632 0.2199 0.2367 O
0.6748 0.1305 0.7789 O
0.2080 0.9707 0.2445 O
0.5347 0.5344 0.4099 Sm
0.0313 0.0180 0.9224 Sm
0.3191 0.3200 0.0422 Mo
0.8078 0.8045 0.5885 Na
```

Calculated values
Total energy: -0.2695 hartree per atom
Crystal system: triclinic
*/
== End of the data records ==
Yoga of Compassion is a path of reflecting on our relationship and the stream of thoughts we have about our body and this human experience. When we feel the painful moments of our lives, we can learn to be kind and gentle, accepting that life is like this sometimes. This is yoga of compassion, it is finding ease and safety inside ourselves and an acceptance of everything as it is even in the difficult moments. Through balancing our heart, mind and body we begin to recognize that wherever we are right now in this moment, is just where we need to be. Yoga of compassion invites us to soften into each moment with tenderness and care finding comfort in our body, mind and heart rather than wishing things were different.
**Unrelated to this article: materials data:**
=====
First-principles (PBE with a Hubbard U) data for an optimized crystal structure of CoGeNO, as listed in OQMD via LeMat-Bulk.

a = 3.3744 Å, b = 5.5027 Å, c = 5.1647 Å
α = 90.00°, β = 90.00°, γ = 90.00°
Last column: nearest neighbours and their distance in Å.
Atoms (fractional coordinates):
Co  0.0000  0.1801  0.0000  2 N 2.02, 2 O 2.10-2.14
Co  0.0000  0.8199  0.5000  2 N 2.02, 2 O 2.10-2.14
Ge  0.5000  0.3333  0.5142  2 N 1.88-1.89, 2 O 1.93
Ge  0.5000  0.6667  0.0142  2 N 1.88-1.89, 2 O 1.93
N  0.5000  0.3483  0.8786  2 Ge 1.88-1.89, 2 Co 2.02
N  0.5000  0.6517  0.3786  2 Ge 1.88-1.89, 2 Co 2.02
O  0.0000  0.1922  0.4150  2 Ge 1.93, 2 Co 2.10-2.14
O  0.0000  0.8078  0.9150  2 Ge 1.93, 2 Co 2.10-2.14

**Energy**: -48.38 eV for the cell shown
**Space-group type**: Pmc2_1, No. 26

~~~~~

1.
# Si3HgRu SCAN PBEsol geometry
data_Si3HgRu
_cell_length_a 4.8160
_cell_length_b 4.8160
_cell_length_c 4.8160
_cell_angle_alpha 90.00
_cell_angle_beta 90.00
_cell_angle_gamma 90.00
_space_group_name_H-M_alt 'P m -3 m'
_space_group_IT_number 221
_space_group_name_Hall '-P 4 2 3'
loop_
_atom_site_label
_atom_site_type_symbol
_atom_site_fract_x
_atom_site_fract_y
_atom_site_fract_z
Si1 Si 0.0000 0.0000 0.5000
Hg1 Hg 0.0000 0.0000 0.0000
Ru1 Ru 0.5000 0.5000 0.5000
# D(E_F) = 3.823 states/eV/f.u.
# Energy = -123.051 eV for the cell shown
# Formation energy (no corrections) = 2.00 eV/atom
# Size of the total moment = 0.36 μB/atom


2.
# Er2InAg SCAN PBEsol geometry
data_Er2InAg
_cell_length_a 3.5277
_cell_length_b 3.5277
_cell_length_c 7.5143
_cell_angle_alpha 90.00
_cell_angle_beta 90.00
_cell_angle_gamma 90.00
_space_group_name_H-M_alt 'P 4/m m m'
_space_group_IT_number 123
_space_group_name_Hall '-P 4 2'
loop_
_atom_site_label
_atom_site_type_symbol
_atom_site_fract_x
_atom_site_fract_y
_atom_site_fract_z
Er1 Er 0.0000 0.0000 0.2360
In1 In 0.5000 0.5000 0.5000
Ag1 Ag 0.5000 0.5000 0.0000
# D(E_F) = 2.247 states/eV/f.u.
# Energy = -167.480 eV for the cell shown
# Formation enthalpy at 0 K = -0.5115 eV/atom
# Size of the total moment = 0.00 μB/atom


3.
# La3Te SCAN PBEsol geometry
data_La3Te
_cell_length_a 7.9540
_cell_length_b 10.1713
_cell_length_c 6.3553
_cell_angle_alpha 90.00
_cell_angle_beta 90.00
_cell_angle_gamma 90.00
_space_group_name_H-M_alt 'P n m a'
_space_group_IT_number 62
loop_
_space_group_symop_operation_xyz
'x,y,z'
'-x,-y,-z'
'-x+1/2,-y,z+1/2'
'x+1/2,y,-z+1/2'
'x+1/2,-y+1/2,-z+1/2'
'-x+1/2,y+1/2,z+1/2'
'-x,y+1/2,-z'
'x,-y+1/2,z'
loop_
_atom_site_label
_atom_site_type_symbol
_atom_site_fract_x
_atom_site_fract_y
_atom_site_fract_z
La1 La 0.0281 0.2500 0.1228
La2 La 0.2010 0.0354 0.6165
Te1 Te 0.0987 0.7500 0.3955
# D(E_F) = 4.137 states/eV/f.u.
# ΔE to the lowest computed polymorph = 0 meV per atom
# Energy = -679.977 eV for the cell shown
# Formation energy (no corrections) = -0.86 eV/atom
# Size of the total moment = 0.00 μB/atom


4.
# MnOs3 SCAN PBEsol geometry
data_MnOs3
_cell_length_a 5.3356
_cell_length_b 12.8684
_cell_length_c 4.6201
=====
**The article goes on:**
Elizabeth Gosselin, Founder of Yoga of Compassion
As a mindfulness and meditation teacher I hope to contribute to the happiness and well-being of others, regardless of race, age, gender identity or sexual orientation through evidence-based mindfulness practices rooted in the teachings and wisdom of contemplative traditions and Buddhist psychology. ~Elizabeth Gosselin
Elizabeth Gosselin has been a meditator for over 30 years, practiced Insight Meditation for the last 15 years, and is a trained mindfulness teacher. She uses the universal themes of loving-kindness, compassion, joy and equanimity to guide meditation groups and multi-day retreats. Her approach to teaching mindfulness is through curious exploration, warm humor, and deep care and commitment to her students. She enjoys inspiring students by drawing from the long-established teachings of contemplative wisdom traditions. She believes by coming together in community we can set the stage for greater learning and expand our opportunities for a deeper experience and understanding of mindfulness.
Practicing yoga for over 25 years, Elizabeth is a yoga teacher and the founder of Yoga of Compassion. She teaches yoga as ‘moving meditation,’ a philosophy that blends yoga and mindfulness as a support to individuals and communities in finding greater ease and insight through experiential mind-body-heart connection.
Elizabeth is trained through the University of CA – San Diego, Center for Mindful Self-Compassion whose curriculum is based on the work of Kristin Neff and Christopher Germer, pioneers and leaders in the field of Self-Compassion research and training. She is also a graduate of the InsightLA Meditation Center Facilitators program lead by Trudy Goodman, senior Vipassana teacher in the Buddhist Theravada lineage. Elizabeth is a Certified Mindfulness Teacher through the International Mindfulness Teachers Association (IMTA).
She is a graduate of the Dedicated Practitioner Program and the Advanced Practitioner Program at Spirit Rock Meditation Center and spends several weeks a year on retreat in silent meditation. Elizabeth is certified through the Yoga and Buddhist Studies Program at the University of California-Irvine and Yoga Works Teacher Training in the Tradition of T Krishnamacharya and T.D.V. Desikarchar. She is a member of the National Organization for Yoga Professionals (Yoga Alliance).
____________
VASP calculation (PBE) on NdDy2Te after structural relaxation.

The density of states at the Fermi level comes out at 1.32 states/eV per atom. The crystal system is tetragonal. The spin magnetization comes out at 0.000 μB per cell. For the uncorrected formation energy, the calculation gives -0.5539 eV per atom. The calculation puts the offset from the most stable computed form at 0.437 eV per formula unit.

It has space group P4/mmm (No. 123), with a = 3.8721 Å, b = 3.8721 Å, c = 8.0270 Å, α = 90.00°, β = 90.00° and γ = 90.00°. The asymmetric unit holds Nd at (0.0000, 0.0000, 0.0000), Dy at (0.5000, 0.5000, 0.2812) and Te at (0.0000, 0.0000, 0.5000).



VASP calculation (PBE) on NdDy4Te6 after structural relaxation.

The density of states at the Fermi level comes out at 0.34 states/eV per atom. The crystal system is orthorhombic. The spin magnetization comes out at 0.000 μB per cell. For the uncorrected formation energy, the calculation gives -1.3726 eV per atom.

It has space group Cmcm (No. 63), with a = 4.2965 Å, b = 14.2948 Å, c = 22.3089 Å, α = 90.00°, β = 90.00° and γ = 90.00°. The asymmetric unit holds Nd at (0.0000, 0.1540, 0.2500), Dy at (0.0000, 0.0887, 0.6248), Dy at (0.0000, 0.3565, 0.5353), Te at (0.0000, 0.0000, 0.0000), Te at (0.0000, 0.1813, 0.7500), Te at (0.0000, 0.2664, 0.0930) and Te at (0.0000, 0.4470, 0.6632).



VASP calculation (PBE) on NdDyTe after structural relaxation.

The density of states at the Fermi level comes out at 0.91 states/eV per atom. The crystal system is tetragonal. The spin magnetization comes out at 0.000 μB per cell. For the uncorrected formation energy, the calculation gives -0.7790 eV per atom. The calculation puts the offset from the most stable computed form at 0.000 eV per formula unit.

It has space group I4mm (No. 107), with a = 3.9346 Å, b = 3.9346 Å, c = 11.7822 Å, α = 90.00°, β = 90.00° and γ = 90.00°. The asymmetric unit holds Nd at (0.0000, 0.0000, 0.0000), Dy at (0.0000, 0.0000, 0.3083) and Te at (0.0000, 0.0000, 0.6673).



VASP calculation (PBE) on Nd3Dy2Te3 after structural relaxation.

The density of states at the Fermi level comes out at 1.05 states/eV per atom. The crystal system is orthorhombic. The spin magnetization comes out at 0.002 μB per cell. For the uncorrected formation energy, the calculation gives -0.9468 eV per atom.

It has space group Cmcm (No. 63), with a = 4.0879 Å, b = 15.6640 Å, c = 15.2890 Å, α = 90.00°, β = 90.00° and γ = 90.00°. The asymmetric unit holds Nd at (0.0000, 0.0390, 0.1135), Nd at (0.0000, 0.3985, 0.2500), Dy at (0.0000, 0.2416, 0.6081), Te at (0.0000, 0.3835, 0.7500) and Te at (0.0000, 0.3896, 0.0372).



VASP calculation (PBE) on Nd2DyTe3 after structural relaxation.

The density of states at the Fermi level comes out at 0.50 states/eV per atom. The crystal system is orthorhombic. The spin magnetization comes out at 0.000 μB per cell. For the uncorrected formation energy, the calculation gives -1.3749 eV per atom.
____________
Elizabeth is available to teach and lead mindful self-compassion classes, mindfulness groups and yoga and meditation retreats. Please contact Elizabeth for additional information.